Patients on Antidepressants Are at an Increased Risk of Adverse Events following Total Knee Arthroplasty.
Ratnasamy P, Diatta F, Oghenesume O, Sanchez J, Gouzoulis M, Grauer J. Patients on Antidepressants Are at an Increased Risk of Adverse Events following Total Knee Arthroplasty. Journal Of The American Academy Of Orthopaedic Surgeons 2024 PMID: 39637418, DOI: 10.5435/jaaos-d-24-00743.Peer-Reviewed Original ResearchTime of surgeryTotal knee arthroplasty patientsAdverse eventsRevision surgeryTotal knee arthroplastyPatient ageIncreased risk of adverse eventsRisk of adverse eventsElixhauser Comorbidity Index scorePostoperative adverse eventsInferior perioperative outcomesComorbidity Index scoreKnee arthroplastyPerioperative outcomesElixhauser Comorbidity IndexPostoperative outcomesAntidepressant medicationAntidepressantsComorbidity indexMultivariate analysisPatient populationSurgeryIncreased riskLevel IIIPatientsAnatomic vs. reverse total shoulder arthroplasty: usage trends and perioperative outcomes
Halperin S, Dhodapkar M, Kim L, Modrak M, Medvecky M, Donohue K, Grauer J. Anatomic vs. reverse total shoulder arthroplasty: usage trends and perioperative outcomes. Seminars In Arthroplasty JSES 2024, 34: 91-96. DOI: 10.1053/j.sart.2023.08.014.Peer-Reviewed Original ResearchTotal shoulder arthroplastyElixhauser Comorbidity IndexPerioperative outcomesAdverse eventsSurgeon volumeShoulder arthroplastyHigher Elixhauser comorbidity indexPerioperative adverse eventsSevere adverse eventsUrinary tract infectionCommon orthopaedic proceduresMatching of patientsPatient demographicsTract infectionsPearlDiver databaseMultivariable analysisOverall incidencePatient populationKidney infectionMerit further investigationOrthopedic proceduresGreater oddsRTSAIncreased percentagePatients
Evolving Trends in the Use of Sacroiliac Fusion From 2015 to 2020
Halperin S, Dhodapkar M, Jiang W, Elaydi A, Jordan Y, Whang P, Grauer J. Evolving Trends in the Use of Sacroiliac Fusion From 2015 to 2020. Spine 2023, 49: 577-582. PMID: 37075329, DOI: 10.1097/brs.0000000000004684.Peer-Reviewed Original ResearchSI fusionOpen approachAdverse eventsSacroiliac fusionHigher Elixhauser comorbidity indexRetrospective cohort analysisElixhauser Comorbidity IndexLess adverse eventsEvolution of patientsComorbidity indexAdult patientsPatient characteristicsPrimary outcomeIndependent predictorsPearlDiver databaseMultivariable analysisPatient populationOpen procedureBACKGROUND DATACohort analysisSI jointDegenerative indicationsMIS approachMIS casesOlder ageSecond Primary Malignancies of the Bones and Joints: More Common than Expected in Osteosarcoma Patients
Misplaced calculated crystals >
[1]
Computed X-ray powder pattern
Compound: CrNi4Pt7
Radiation: Cu Kα (weighted mean of Kα1 and Kα2)
Structure: a crystal structure in Alexandria, relaxed with GGA-PBE
Peak positions follow from Bragg's law for the DFT cell and can differ from measured ones.

Structural model:
```
CrNi4Pt7
1.0
4.731 0.000 0.000
0.068 5.389 0.000
2.278 1.445 6.612
Cr Ni Pt
1 4 7
direct
0.000 0.000 0.000
0.168 0.417 0.336
0.342 0.833 0.664
0.658 0.167 0.336
0.832 0.583 0.664
0.000 0.500 0.000
0.163 0.919 0.339
0.325 0.333 0.665
0.492 0.751 0.998
0.508 0.249 0.002
0.675 0.667 0.335
0.837 0.081 0.661
```

Peak list (10 most intense, 2θ from 10° to 90°, sorted by position)
- d = 3.747 Å, 2θ = 23.7°, rel. 16
- d = 3.254 Å, 2θ = 27.4°, rel. 16
- d = 2.215 Å, 2θ = 40.7°, rel. 100
- d = 2.210 Å, 2θ = 40.8°, rel. 50
- d = 2.204 Å, 2θ = 40.9°, rel. 49
- d = 1.938 Å, 2θ = 46.9°, rel. 33
- d = 1.922 Å, 2θ = 47.3°, rel. 33
- d = 1.885 Å, 2θ = 48.3°, rel. 31
- d = 1.160 Å, 2θ = 83.3°, rel. 12
- d = 1.142 Å, 2θ = 84.9°, rel. 18

***

[2]
Computed X-ray powder pattern
Compound: CrNi6Pt
Radiation: Cu Kα (weighted mean of Kα1 and Kα2)
Structure: a crystal structure in Alexandria, relaxed with GGA-PBE
Peak positions follow from Bragg's law for the DFT cell and can differ from measured ones.

Structural model:
```
CrNi6Pt
1.0
0.000 3.565 5.094
2.571 0.000 5.094
2.571 3.565 0.000
Cr Ni Pt
1 6 1
direct
0.000 0.000 0.000
0.128 0.128 0.372
0.246 0.246 0.754
0.372 0.372 0.128
0.628 0.628 0.872
0.754 0.754 0.246
0.872 0.872 0.628
0.500 0.500 0.500
```

Peak list (10 most intense, 2θ from 10° to 90°, sorted by position)
- d = 5.094 Å, 2θ = 17.4°, rel. 13
- d = 3.860 Å, 2θ = 23.0°, rel. 45
- d = 2.633 Å, 2θ = 34.0°, rel. 21
- d = 2.085 Å, 2θ = 43.4°, rel. 100
- d = 2.072 Å, 2θ = 43.7°, rel. 98
- d = 1.809 Å, 2θ = 50.4°, rel. 63
- d = 1.782 Å, 2θ = 51.3°, rel. 30
- d = 1.286 Å, 2θ = 73.7°, rel. 12
- d = 1.270 Å, 2θ = 74.8°, rel. 37
- d = 1.092 Å, 2θ = 89.8°, rel. 24

***

[3]
Computed X-ray powder pattern
Compound: CrNi7Sb2Pt2
Radiation: Cu Kα (weighted mean of Kα1 and Kα2)
Structure: a crystal structure in Alexandria, relaxed with GGA-PBE
Peak positions follow from Bragg's law for the DFT cell and can differ from measured ones.

Structural model:
```
CrNi7Sb2Pt2
1.0
2.475 -2.475 0.000
2.475 2.475 0.000
-2.431 0.000 13.740
Cr Ni Sb Pt
1 7 2 2
direct
0.000 0.000 0.000
0.061 0.562 0.125
0.270 0.270 0.538
0.438 0.939 0.875
0.500 0.500 0.000
0.562 0.061 0.125
0.730 0.730 0.462
0.939 0.438 0.875
0.177 0.177 0.360
0.823 0.823 0.640
0.370 0.370 0.734
0.630 0.630 0.266
```

Peak list (10 most intense, 2θ from 10° to 90°, sorted by position)
- d = 6.870 Å, 2θ = 12.9°, rel. 42
- d = 2.952 Å, 2θ = 30.3°, rel. 68
- d = 2.475 Å, 2θ = 36.3°, rel. 85
- d = 2.436 Å, 2θ = 36.9°, rel. 64
- d = 2.301 Å, 2θ = 39.1°, rel. 68
- d = 2.178 Å, 2θ = 41.5°, rel. 65
- d = 2.036 Å, 2θ = 44.5°, rel. 67
- d = 2.031 Å, 2θ = 44.6°, rel. 67
- d = 2.009 Å, 2θ = 45.1°, rel. 62
- d = 1.750 Å, 2θ = 52.3°, rel. 100

***

[4]
Freedman I, Dowd H, Dhodapkar M, Halperin S, Grauer J. Second Primary Malignancies of the Bones and Joints: More Common than Expected in Osteosarcoma Patients. JAAOS Global Research And Reviews 2023, 7: e22.00275. PMID: 36695170, PMCID: PMC9875998, DOI: 10.5435/jaaosglobal-d-22-00275.Peer-Reviewed Original ResearchConceptsSecond primary malignanciesStandardized incidence ratiosOsteosarcoma survivorsPrimary malignancyCommon second primary malignancyNational Cancer Institute's SurveillanceEnd Results 18 databaseCommon primary bone tumorPrimary bone tumorsPopulation-level dataIncidence ratiosOverall incidenceOsteosarcoma patientsPatient populationExcess riskBone tumorsAnatomic locationLong-term eventsOsteosarcoma casesPatientsYoung adultsTumorsSoft tissueMalignancyOsteosarcoma
Bucket-Handle Meniscus Tear Management With Meniscectomy Versus Repair Correlates With Patient, Socioeconomic, and Hospital Factors
Mercier M, Galivanche A, Efthymiou L, Wilhelm C, Grauer J, Gardner E. Bucket-Handle Meniscus Tear Management With Meniscectomy Versus Repair Correlates With Patient, Socioeconomic, and Hospital Factors. Journal Of The American Academy Of Orthopaedic Surgeons 2022, 31: 565-573. PMID: 36730692, DOI: 10.5435/jaaos-d-21-01052.Peer-Reviewed Original ResearchConceptsBucket-handle meniscus tearsHospital factorsMeniscal repairLogistic regression modelsMeniscus tearsTreatment approachesMultivariable logistic regression modelIdentification of patientsCommon knee injuriesInfluence of patientUrban teaching hospitalClinical factorsDischarge weightRegression modelsKnee injuriesPatient populationSicker patientsOptimal treatmentUnivariate analysisTeaching hospitalNationwide utilizationHigher median household incomeHigher oddsTear managementRepresentative cohortEmergency Department Visits Within 90 Days of Total Ankle Arthroplasty
Ratnasamy P, Kammien A, Gouzoulis M, Grauer J. Emergency Department Visits Within 90 Days of Total Ankle Arthroplasty. Foot & Ankle Orthopaedics 2022, 7: 2473011421s00895. PMCID: PMC9679845, DOI: 10.1177/2473011421s00895.Peer-Reviewed Original ResearchTotal ankle arthroplastyElixhauser Comorbidity IndexSurgical site painED visitsSite painTAA patientsAnkle arthroplastyRisk factorsCommon reasonHealth care utilization/costsHigher Elixhauser comorbidity indexPostoperative ED visitsRetrospective cohort studyEmergency department visitsDay of surgeryLogistic regression analysisComorbidity indexCohort studyED utilizationDepartment visitsPatient factorsPostoperative weekEmergency departmentPatient populationFemale sex
Risk Factors for Venous Thromboembolism in Children Undergoing Orthopedic Surgery.
Mets EJ, Pathak N, Galivanche AR, McLynn RP, Frumberg DB, Grauer JN. Risk Factors for Venous Thromboembolism in Children Undergoing Orthopedic Surgery. Orthopedics 2021, 45: 31-37. PMID: 34846239, DOI: 10.3928/01477447-20211124-06.Peer-Reviewed Original ResearchConceptsVenous thromboembolismAdverse eventsRisk factorsOrthopedic surgeryNational Surgical Quality Improvement Program Pediatric databaseSurgeons National Surgical Quality Improvement Program Pediatric databaseIncidence of VTEPostoperative venous thromboembolismMinor adverse eventsPostoperative adverse eventsPreoperative blood transfusionIndependent risk factorMajor adverse eventsHigh-risk subpopulationsVTE prophylaxisPerioperative outcomesPatient demographicsBlood transfusionPatient factorsPediatric patientsSurgical variablesPreventable complicationsFemur fracturesPatient populationRetrospective analysisHospital Consumer Assessment of Healthcare Providers and Systems survey response rates are significantly affected by patient characteristics and postoperative outcomes for patients undergoing primary total knee arthroplasty
Mercier MR, Galivanche AR, David WB, Malpani R, Pathak N, Hilibrand AS, Rubin LE, Grauer JN. Hospital Consumer Assessment of Healthcare Providers and Systems survey response rates are significantly affected by patient characteristics and postoperative outcomes for patients undergoing primary total knee arthroplasty. PLOS ONE 2021, 16: e0257555. PMID: 34582475, PMCID: PMC8478166, DOI: 10.1371/journal.pone.0257555.Peer-Reviewed Original ResearchConceptsTotal knee arthroplastyPrimary total knee arthroplastyHospital Consumer AssessmentPostoperative outcomesPatient characteristicsHCAHPS survey resultsHCAHPS surveySurvey response rateKnee arthroplastyResponse rateHealthcare providersConsumer AssessmentHigher American SocietyMultivariate regression analysisAnesthesia scorePostoperative variablesTKA patientsAdult patientsPrimary outcomePatient factorsSurgical variablesPatient populationPatient satisfactionSingle institutionHospital experienceTotal Joint Arthroplasty in Patients With Achondroplasia: Comparison of 90-Day Adverse Events and 5-Year Implant Survival
Moore HG, Schneble CA, Kahan JB, Polkowski GG, Rubin LE, Grauer JN. Total Joint Arthroplasty in Patients With Achondroplasia: Comparison of 90-Day Adverse Events and 5-Year Implant Survival. Arthroplasty Today 2021, 11: 151-156. PMID: 34584919, PMCID: PMC8452593, DOI: 10.1016/j.artd.2021.08.011.Peer-Reviewed Original ResearchTotal joint arthroplastyAdverse eventsImplant survivalJoint arthroplastyFive-year implant survivalShort-term adverse eventsPrimary total hipSurgical site infectionLong-term implant successMultivariate logistic regressionTotal knee arthroplastyCommon skeletal dysplasiaMedical comorbiditiesSite infectionTotal hipPatient populationKnee arthroplastyAdministrative databasesHigher oddsLarge cohortGreater oddsPatientsImplant successSurvival curvesArthroplastyPredictors and Sequelae of Postoperative Delirium in a Geriatric Patient Population With Hip Fracture
Haynes MS, Alder KD, Toombs C, Amakiri IC, Rubin LE, Grauer JN. Predictors and Sequelae of Postoperative Delirium in a Geriatric Patient Population With Hip Fracture. JAAOS Global Research And Reviews 2021, 5: e20.00221. PMID: 33989253, PMCID: PMC8133215, DOI: 10.5435/jaaosglobal-d-20-00221.Peer-Reviewed Original ResearchConceptsHip fracture populationPostoperative deliriumPreoperative dementiaHip fractureGeriatric hip fracture populationDependent functional statusFracture populationAdverse postoperative outcomesHigher American SocietyIndependent risk factorPostoperative adverse outcomesGeriatric patient populationNongeneral anesthesiaPreoperative diabetesPostoperative outcomesIndependent predictorsMale sexAdverse outcomesPatient populationFunctional statusRevision surgeryRisk factorsDeliriumHigher oddsRisk subpopulations
Spine coding transition from ICD-9 to ICD-10: Not taking advantage of the specificity of a more granular system
Sabatino MJ, Burroughs PJ, Moore HG, Grauer JN. Spine coding transition from ICD-9 to ICD-10: Not taking advantage of the specificity of a more granular system. North American Spine Society Journal (NASSJ) 2020, 4: 100035. PMID: 35141603, PMCID: PMC8820049, DOI: 10.1016/j.xnsj.2020.100035.Peer-Reviewed Original ResearchICD-10 codesDiagnostic codesICD-9ICD-10Number of patientsSpine-related conditionsSpecific diagnostic codesDistribution of utilizationIndex encounterSpine patientsPatient populationDiagnosis codesSpine conditionsClinical careInternational ClassificationPatientsCurrent studyFive-fold increaseSmall proportionYearsDorsopathySpecificityDiseaseCare
Surgical Treatment of Septic Shoulders: A Comparison Between Arthrotomy and Arthroscopy
........
# 1
Starting from the GGA-PBE geometry in Alexandria, the powder X-ray diffraction pattern of HAuCl3 was calculated for Cu Kα (λ = 1.5418 Å).

Principal peaks in the range 2θ from 10° to 90°, in order of rising 2θ:
14.86 deg, d 5.963, rel. 38, hkl 0 1 0; 16.74 deg, d 5.296, rel. 100, hkl 1 0 -1; 17.00 deg, d 5.215, rel. 84, hkl 0 1 -1; 17.63 deg, d 5.030, rel. 35, hkl 0 1 1; 17.76 deg, d 4.993, rel. 61, hkl 0 0 2; 20.06 deg, d 4.426, rel. 60, hkl 1 0 1; 22.44 deg, d 3.962, rel. 36, hkl 1 1 -1; 25.92 deg, d 3.437, rel. 39, hkl 1 1 -2; 30.21 deg, d 2.959, rel. 36, hkl 0 1 -3; 31.68 deg, d 2.824, rel. 42, hkl 0 2 1

Unit cell a=5.6035 b=5.9688 c=10.2225 alpha=92.15 beta=102.12 gamma=90.69
Space group P1 (No. 1)
Unique sites:
H (0.0000, 0.0000, 0.0000) x1
H (0.2819, 0.8736, 0.6175) x1
Au (0.1817, 0.5270, 0.7204) x1
Au (0.8040, 0.2393, 0.2725) x1
Cl (0.1308, 0.0513, 0.9127) x1
Cl (0.3231, 0.0185, 0.5322) x1
Cl (0.5826, 0.5221, 0.8240) x1
Cl (0.7804, 0.5313, 0.6107) x1
Cl (0.7844, 0.9140, 0.1496) x1
Cl (0.8213, 0.5771, 0.3812) x1

# 2
Starting from the GGA-PBE geometry in Alexandria, the powder X-ray diffraction pattern of V12Ga3Sn was calculated for Cu Kα (λ = 1.5418 Å).

Principal peaks in the range 2θ from 10° to 90°, in order of rising 2θ:
37.04 deg, d 2.427, rel. 47, hkl 0 2 0; 37.21 deg, d 2.416, rel. 46, hkl 2 0 0; 41.68 deg, d 2.167, rel. 70, hkl 0 2 2; 41.79 deg, d 2.161, rel. 69, hkl 2 1 0; 42.00 deg, d 2.151, rel. 69, hkl 1 0 4; 45.91 deg, d 1.977, rel. 100, hkl 1 2 2; 46.02 deg, d 1.972, rel. 98, hkl 2 1 2; 46.17 deg, d 1.966, rel. 93, hkl 1 1 4; 73.21 deg, d 1.293, rel. 50, hkl 1 3 4; 73.57 deg, d 1.287, rel. 45, hkl 2 1 6

Unit cell a=4.8329 b=4.8537 c=9.6063 alpha=90.00 beta=90.00 gamma=90.00
Space group Pmmm (No. 47)
Unique sites:
V (0.0000, 0.0000, 0.1209) x2
V (0.0000, 0.0000, 0.3647) x2
V (0.2351, 0.5000, 0.5000) x2
V (0.2615, 0.5000, 0.0000) x2
V (0.5000, 0.2577, 0.2408) x4
Ga (0.0000, 0.5000, 0.2490) x2
Ga (0.5000, 0.0000, 0.0000) x1
Sn (0.5000, 0.0000, 0.5000) x1

# 3
Starting from the GGA-PBE geometry in Alexandria, the powder X-ray diffraction pattern of Li6Tl3Rh2 was calculated for Cu Kα (λ = 1.5418 Å).

Principal peaks in the range 2θ from 10° to 90°, in order of rising 2θ:
13.79 deg, d 6.421, rel. 100, hkl 0 0 2; 19.35 deg, d 4.588, rel. 43, hkl 1 0 -2; 22.58 deg, d 3.938, rel. 25, hkl 1 0 2; 24.34 deg, d 3.656, rel. 80, hkl 1 1 1; 26.34 deg, d 3.384, rel. 73, hkl 0 1 3; 32.51 deg, d 2.754, rel. 32, hkl 1 1 3; 35.61 deg, d 2.521, rel. 39, hkl 2 1 -1; 38.02 deg, d 2.367, rel. 80, hkl 1 2 -2; 38.66 deg, d 2.329, rel. 28, hkl 0 1 5; 39.28 deg, d 2.294, rel. 34, hkl 2 0 -4

Unit cell a=5.6792 b=5.5263 c=12.9940 alpha=90.00 beta=98.80 gamma=90.00
Space group P2_1/c (No. 14)
Unique sites:
Li (0.0910, 0.0259, 0.3299) x4
Li (0.2700, 0.6527, 0.6141) x4
Li (0.3808, 0.1806, 0.6930) x4
Tl (0.2362, 0.5274, 0.3737) x4
Tl (0.5000, 0.0000, 0.5000) x2
Rh (0.0828, 0.2300, 0.5230) x4

# 4
........
-- The records of crystals stop here --
Bovonratwet P, Fu MC, Pathak N, Ondeck NT, Bohl DD, Nho SJ, Grauer JN. Surgical Treatment of Septic Shoulders: A Comparison Between Arthrotomy and Arthroscopy. Arthroscopy The Journal Of Arthroscopic And Related Surgery 2019, 35: 1984-1991. PMID: 31196694, DOI: 10.1016/j.arthro.2019.02.036.Peer-Reviewed Original ResearchConceptsPatients' preoperative characteristicsRate of reoperationSeptic shoulderAdverse eventsPreoperative characteristicsPerioperative complicationsNative shoulderNational Surgical Quality Improvement Program databaseQuality Improvement Program databaseNational patient populationMinor adverse eventsSerious adverse eventsImprovement Program databaseRisk of reoperationRetrospective comparative studyLength of staySignificant differencesUnderwent irrigationPostoperative complicationsPatient characteristicsSurgical groupSurgical treatmentSeptic arthritisOperative timePatient population
Revision Total Knee Arthroplasty in Octogenarians: An Analysis of 957 Cases
Bovonratwet P, Tyagi V, Ottesen TD, Ondeck NT, Rubin LE, Grauer JN. Revision Total Knee Arthroplasty in Octogenarians: An Analysis of 957 Cases. The Journal Of Arthroplasty 2017, 33: 178-184. PMID: 28844628, DOI: 10.1016/j.arth.2017.07.032.Peer-Reviewed Original ResearchConceptsRevision total knee arthroplastyTotal knee arthroplastyBlood transfusionOctogenarian patientsKnee arthroplastyPatient populationNational Surgical Quality Improvement Program databaseQuality Improvement Program databaseLonger lengthYoung populationHigh rateImprovement Program databaseYoung patient populationNumber of octogenariansLarger patient populationYear oldsHospital stayIntraoperative characteristicsPerioperative complicationsPerioperative coursePropensity matchingAdvanced ageProgram databaseOctogenariansStayOutpatient and Inpatient Unicompartmental Knee Arthroplasty Procedures Have Similar Short-Term Complication Profiles
Bovonratwet P, Ondeck NT, Tyagi V, Nelson SJ, Rubin LE, Grauer JN. Outpatient and Inpatient Unicompartmental Knee Arthroplasty Procedures Have Similar Short-Term Complication Profiles. The Journal Of Arthroplasty 2017, 32: 2935-2940. PMID: 28602533, DOI: 10.1016/j.arth.2017.05.018.Peer-Reviewed Original ResearchMeSH KeywordsAdultAgedAmbulatory Surgical ProceduresArthroplasty, Replacement, KneeCohort StudiesComorbidityDatabases, FactualFemaleHumansInpatientsLength of StayMaleMiddle AgedOutcome Assessment, Health CareOutpatientsPatient ReadmissionPatient SatisfactionPostoperative ComplicationsPropensity ScoreQuality ImprovementUnited StatesConceptsUnicompartmental knee arthroplastyNational Surgical Quality Improvement Program databaseInpatient Unicompartmental Knee ArthroplastyQuality Improvement Program databaseLength of hospitalImprovement Program databasePerioperative complicationsProgram databaseOutpatient unicompartmental knee arthroplastyShort-term complication profileUnicompartmental knee arthroplasty (UKA) proceduresNational patient populationPerioperative outcome measuresHigh patient satisfactionKnee arthroplasty proceduresPotential confounding factorsInpatient cohortPerioperative outcomesPostdischarge complicationsPatient characteristicsComplication profileOutpatient surgeryPatient populationKnee arthroplastyOutpatient procedure
Do we really know our patient population in database research? A comparison of the femoral shaft fracture patient populations in three commonly used national databases.
Samuel AM, Lukasiewicz AM, Webb ML, Bohl DD, Basques BA, Varthi AG, Leslie MP, Grauer JN. Do we really know our patient population in database research? A comparison of the femoral shaft fracture patient populations in three commonly used national databases. The Bone & Joint Journal 2016, 98-B: 425-32. PMID: 26920971, DOI: 10.1302/0301-620x.98b3.36285.Peer-Reviewed Original ResearchConceptsNational Surgical Quality Improvement ProgramCharleston Comorbidity IndexNational Trauma Data BankNationwide Inpatient SampleOrthopaedic trauma researchPatient populationNational databaseLarge national clinical databaseSurgical Quality Improvement ProgramOrthopaedic trauma populationPopulation of patientsFemoral shaft fracturesNational Clinical DatabaseTrauma Data BankQuality Improvement ProgramTrauma researchMore comorbiditiesComorbidity indexShaft fracturesTrauma populationDistribution of ageInpatient SampleInclusion criteriaSD 1.9SD 2.3Spinal Fracture in Patients With Ankylosing Spondylitis
Lukasiewicz AM, Bohl DD, Varthi AG, Basques BA, Webb ML, Samuel AM, Grauer JN. Spinal Fracture in Patients With Ankylosing Spondylitis. Spine 2016, 41: 191-196. PMID: 26579959, DOI: 10.1097/brs.0000000000001190.Peer-Reviewed Original ResearchConceptsNational Inpatient SampleSpinal fracturesAdverse eventsCervical fracturesSpinal columnHospital adverse eventsMortality of fracturesSmall case seriesSpinal cord injuryAnkylosed spinePatient demographicsRetrospective cohortThoracic fracturesCase seriesHigh morbidityInjury characteristicsInpatient stayMinor traumaCord injuryPatient populationCase reportInpatient SampleBACKGROUND DATAHigh riskPatients
Analysis of Delays to Surgery for Cervical Spinal Cord Injuries
Samuel AM, Bohl DD, Basques BA, Diaz-Collado PJ, Lukasiewicz AM, Webb ML, Grauer JN. Analysis of Delays to Surgery for Cervical Spinal Cord Injuries. Spine 2015, 40: 992-1000. PMID: 25785963, DOI: 10.1097/brs.0000000000000883.Peer-Reviewed Original ResearchMeSH KeywordsAdolescentAdultAgedAged, 80 and overCervical VertebraeChi-Square DistributionComorbidityDatabases, FactualDecompression, SurgicalFemaleHumansKaplan-Meier EstimateLinear ModelsMaleMiddle AgedMultivariate AnalysisPatient AdmissionRetrospective StudiesRisk AssessmentRisk FactorsSpinal Cord InjuriesTime FactorsTime-to-TreatmentTreatment OutcomeYoung AdultConceptsCervical spinal cord injuryIncomplete spinal cord injurySpinal cord injuryNational Trauma Data Bank Research Data SetCentral spinal cord injuryComplete spinal cord injuryLate surgeryCord injuryUpper cervical spinal cord injuryGreater Charlson Comorbidity IndexSuperior neurological outcomeCharlson Comorbidity IndexMajority of patientsComorbidity indexNeurological outcomeUnderwent surgerySurgical timingInjury characteristicsRetrospective studyEmergency departmentInpatient admissionsPatient populationSurgery occurBACKGROUND DATAPatients